Work order:
The reader should retype everything further below character by character.

Material:
DFT (PBE) results for a relaxed structure of AcPrNd4Ho2.

Properties
Its raw total energy is -4.6072 eV per atom.

abc: 5.2041 6.3856 9.7667
angles: 89.82 74.55 65.95
Element x y z (fractional)
Ac (0.5000, 0.5000, 0.5000)
Pr (0.0000, 0.0000, 0.0000)
Nd (0.1229, 0.1252, 0.6289)
Nd (0.3734, 0.3758, 0.8774)
Nd (0.8771, 0.8748, 0.3711)
Nd (0.6266, 0.6242, 0.1226)
Ho (0.7447, 0.7561, 0.7546)
Ho (0.2553, 0.2439, 0.2454)

Reply:
DFT (PBE) results for a relaxed structure of AcPrNd4Ho2.

Properties
Its raw total energy is -4.6072 eV per atom.

abc: 5.2041 6.3856 9.7667
angles: 89.82 74.55 65.95
Element x y z (fractional)
Ac (0.5000, 0.5000, 0.5000)
Pr (0.0000, 0.0000, 0.0000)
Nd (0.1229, 0.1252, 0.6289)
Nd (0.3734, 0.3758, 0.8774)
Nd (0.8771, 0.8748, 0.3711)
Nd (0.6266, 0.6242, 0.1226)
Ho (0.7447, 0.7561, 0.7546)
Ho (0.2553, 0.2439, 0.2454)